Given:
/*
{
  "formula": "C12H22N3O3",
  "method": "ωB97M-V with the def2-TZVPD basis set",
  "elements": ["C", "C", "C", "C", "O", "C", "C", "C", "N", "C", "N", "N", "H", "H", "H", "H", "H", "H", "H", "H", "H", "H", "H", "H", "H", "H", "O", "C", "O", "C", "C", "C", "H", "H", "H", "H", "H", "H", "H", "H"],
  "positions_angstrom": [[1.714, 4.313, -0.479], [0.988, 3.170, 0.413], [0.532, 1.988, -0.601], [0.121, 0.638, 0.159], [0.957, -0.513, -0.140], [2.300, -0.288, 0.311], [2.443, -0.189, 1.847], [3.957, 0.009, 2.242], [4.409, 0.135, 3.632], [4.852, 0.042, 0.996], [4.494, -0.036, -0.365], [3.227, -0.200, -0.721], [2.730, 3.905, -0.806], [1.850, 5.292, 0.104], [1.130, 4.542, -1.444], [1.672, 2.791, 1.252], [0.031, 3.661, 0.823], [-0.417, 2.389, -1.119], [1.296, 1.828, -1.450], [-0.938, 0.372, -0.203], [0.021, 0.879, 1.274], [1.609, -0.276, 2.611], [4.029, -0.641, 4.200], [3.956, 1.010, 3.969], [5.979, 0.147, 1.202], [5.220, 0.003, -1.104], [-2.597, -0.359, -2.066], [-3.240, -1.359, -1.835], [-4.510, -1.255, -1.409], [-5.413, -2.364, -1.275], [-5.227, -3.060, 0.057], [-2.609, -2.718, -1.931], [-5.322, -3.047, -2.124], [-6.420, -1.946, -1.324], [-4.223, -3.479, 0.158], [-5.951, -3.869, 0.174], [-5.358, -2.351, 0.880], [-2.050, -2.919, -1.016], [-1.923, -2.720, -2.781], [-3.318, -3.523, -2.110]],
  "atomic_forces_ev_per_a": [[0.1, -0.4, 0.3], [-0.3, 0.6, -1.6], [-0.4, 0.6, 0.3], [-2.0, 1.6, -0.6], [3.1, 1.1, 1.1], [-1.9, -0.1, 0.5], [5.5, 0.4, -2.3], [-3.8, -0.9, -3.6], [-0.9, 0.4, -1.9], [0.9, 0.2, 1.2], [-0.7, -0.1, 4.8], [-1.6, -0.1, 2.4], [-1.2, 0.7, 0.4], [-0.1, -1.5, -0.9], [0.7, -0.4, 1.6], [-1.0, 0.6, -1.1], [1.5, -1.0, -0.2], [1.5, -0.8, 0.7], [-1.0, 0.0, 1.5], [1.8, 0.0, 0.5], [0.5, -0.6, -1.3], [1.1, 0.1, -1.4], [0.3, 0.5, -0.5], [0.6, -0.8, 0.0], [-1.9, -0.1, -0.5], [-0.8, 0.0, 0.6], [-0.5, -0.3, 0.3], [0.3, 0.3, 0.1], [-0.1, 0.5, -0.2], [-0.1, -0.3, 0.2], [0.2, 0.0, 0.2], [-0.1, -0.4, -0.6], [0.1, 0.1, 0.1], [0.2, 0.2, -0.1], [-0.1, -0.1, -0.1], [0.0, 0.1, 0.0], [-0.1, -0.1, -0.1], [0.0, 0.0, 0.0], [0.1, 0.1, 0.2], [0.0, 0.0, 0.2]],
  "nbo_charge": [-0.62, -0.41, -0.46, -0.10, -0.49, 0.48, -0.16, 0.19, -0.83, 0.04, -0.24, -0.17, 0.20, 0.23, 0.22, 0.18, 0.22, 0.25, 0.23, 0.26, 0.17, 0.29, 0.40, 0.40, 0.27, 0.46, -0.60, 0.81, -0.50, -0.07, -0.64, -0.75, 0.18, 0.21, 0.20, 0.23, 0.22, 0.24, 0.25, 0.22],
  "e_tot_ha": -860.024711,
  "molar_mass_g_mol": 256.326,
  "spin_multiplicity": 1,
  "e_above_lowest_kcal_mol": 0.0,
  "charge": 1
}

=====

1.
Here is a 2-piece molecular cluster, C2HNO2 overall at a distorted geometry from the Open Molecules 2025 dataset. Energies are from the ωB97M-V functional and the def2-TZVPD basis.

```
6
Properties=species:S:1:pos:R:3:forces:R:3
C 0.45332 1.16397 -0.04998 -3.333 -4.517 -1.015
C 2.42107 -0.13299 0.25590 -3.338 0.037 1.912
N 1.17039 2.03137 0.03377 3.076 3.574 1.023
O 3.37955 0.15482 -0.31940 3.334 0.450 -1.970
O -0.44641 0.31888 -0.45901 -2.584 -1.136 2.300
H -1.16230 -0.03742 0.26661 2.845 1.593 -2.250
```
Forces are in eV/Å.

- spin multiplicity = 3
- E_HOMO (alpha / beta) (eV) = -6.1 / -12.0

2.
Here is a 2-piece molecular cluster, C4H10Cl2NO2P overall at a distorted geometry from the Open Molecules 2025 dataset. Energies are from the ωB97M-V functional and the def2-TZVPD basis.

```
20
Properties=species:S:1:pos:R:3:forces:R:3
C 1.51927 1.66545 -0.61114 0.010 0.309 -1.831
C 0.61633 0.70376 1.31910 -3.373 -1.064 2.579
C -0.73061 -2.55873 -1.09745 1.871 0.755 -0.297
C -3.01064 1.44199 -0.29451 2.347 -0.791 1.396
N 0.69950 0.58718 -0.06837 0.835 0.258 -1.973
O -0.25574 0.00994 -2.44326 0.136 0.142 -0.870
O -1.04749 -1.36207 -0.36672 0.018 1.475 -0.720
P -0.57762 0.06576 -1.02296 -1.766 -0.341 1.740
Cl -3.67854 1.99880 -1.74321 -0.428 -0.242 -0.060
Cl -2.36970 2.75828 0.75210 -0.499 -0.686 -0.539
H 1.39351 1.69874 -1.70892 0.092 -0.024 0.506
H 1.24669 2.63838 -0.22871 -0.530 0.342 0.297
H 2.59285 1.61528 -0.43181 0.017 -0.786 0.316
H -0.08706 -0.16278 1.71799 1.178 1.957 -0.584
*/

Exercise:
Could you echo the whole of the block further up unchanged?

Result:
{
  "formula": "C12H22N3O3",
  "method": "ωB97M-V with the def2-TZVPD basis set",
  "elements": ["C", "C", "C", "C", "O", "C", "C", "C", "N", "C", "N", "N", "H", "H", "H", "H", "H", "H", "H", "H", "H", "H", "H", "H", "H", "H", "O", "C", "O", "C", "C", "C", "H", "H", "H", "H", "H", "H", "H", "H"],
  "positions_angstrom": [[1.714, 4.313, -0.479], [0.988, 3.170, 0.413], [0.532, 1.988, -0.601], [0.121, 0.638, 0.159], [0.957, -0.513, -0.140], [2.300, -0.288, 0.311], [2.443, -0.189, 1.847], [3.957, 0.009, 2.242], [4.409, 0.135, 3.632], [4.852, 0.042, 0.996], [4.494, -0.036, -0.365], [3.227, -0.200, -0.721], [2.730, 3.905, -0.806], [1.850, 5.292, 0.104], [1.130, 4.542, -1.444], [1.672, 2.791, 1.252], [0.031, 3.661, 0.823], [-0.417, 2.389, -1.119], [1.296, 1.828, -1.450], [-0.938, 0.372, -0.203], [0.021, 0.879, 1.274], [1.609, -0.276, 2.611], [4.029, -0.641, 4.200], [3.956, 1.010, 3.969], [5.979, 0.147, 1.202], [5.220, 0.003, -1.104], [-2.597, -0.359, -2.066], [-3.240, -1.359, -1.835], [-4.510, -1.255, -1.409], [-5.413, -2.364, -1.275], [-5.227, -3.060, 0.057], [-2.609, -2.718, -1.931], [-5.322, -3.047, -2.124], [-6.420, -1.946, -1.324], [-4.223, -3.479, 0.158], [-5.951, -3.869, 0.174], [-5.358, -2.351, 0.880], [-2.050, -2.919, -1.016], [-1.923, -2.720, -2.781], [-3.318, -3.523, -2.110]],
  "atomic_forces_ev_per_a": [[0.1, -0.4, 0.3], [-0.3, 0.6, -1.6], [-0.4, 0.6, 0.3], [-2.0, 1.6, -0.6], [3.1, 1.1, 1.1], [-1.9, -0.1, 0.5], [5.5, 0.4, -2.3], [-3.8, -0.9, -3.6], [-0.9, 0.4, -1.9], [0.9, 0.2, 1.2], [-0.7, -0.1, 4.8], [-1.6, -0.1, 2.4], [-1.2, 0.7, 0.4], [-0.1, -1.5, -0.9], [0.7, -0.4, 1.6], [-1.0, 0.6, -1.1], [1.5, -1.0, -0.2], [1.5, -0.8, 0.7], [-1.0, 0.0, 1.5], [1.8, 0.0, 0.5], [0.5, -0.6, -1.3], [1.1, 0.1, -1.4], [0.3, 0.5, -0.5], [0.6, -0.8, 0.0], [-1.9, -0.1, -0.5], [-0.8, 0.0, 0.6], [-0.5, -0.3, 0.3], [0.3, 0.3, 0.1], [-0.1, 0.5, -0.2], [-0.1, -0.3, 0.2], [0.2, 0.0, 0.2], [-0.1, -0.4, -0.6], [0.1, 0.1, 0.1], [0.2, 0.2, -0.1], [-0.1, -0.1, -0.1], [0.0, 0.1, 0.0], [-0.1, -0.1, -0.1], [0.0, 0.0, 0.0], [0.1, 0.1, 0.2], [0.0, 0.0, 0.2]],
  "nbo_charge": [-0.62, -0.41, -0.46, -0.10, -0.49, 0.48, -0.16, 0.19, -0.83, 0.04, -0.24, -0.17, 0.20, 0.23, 0.22, 0.18, 0.22, 0.25, 0.23, 0.26, 0.17, 0.29, 0.40, 0.40, 0.27, 0.46, -0.60, 0.81, -0.50, -0.07, -0.64, -0.75, 0.18, 0.21, 0.20, 0.23, 0.22, 0.24, 0.25, 0.22],
  "e_tot_ha": -860.024711,
  "molar_mass_g_mol": 256.326,
  "spin_multiplicity": 1,
  "e_above_lowest_kcal_mol": 0.0,
  "charge": 1
}

=====

1.
Here is a 2-piece molecular cluster, C2HNO2 overall at a distorted geometry from the Open Molecules 2025 dataset. Energies are from the ωB97M-V functional and the def2-TZVPD basis.

```
6
Properties=species:S:1:pos:R:3:forces:R:3
C 0.45332 1.16397 -0.04998 -3.333 -4.517 -1.015
C 2.42107 -0.13299 0.25590 -3.338 0.037 1.912
N 1.17039 2.03137 0.03377 3.076 3.574 1.023
O 3.37955 0.15482 -0.31940 3.334 0.450 -1.970
O -0.44641 0.31888 -0.45901 -2.584 -1.136 2.300
H -1.16230 -0.03742 0.26661 2.845 1.593 -2.250
```
Forces are in eV/Å.

- spin multiplicity = 3
- E_HOMO (alpha / beta) (eV) = -6.1 / -12.0

2.
Here is a 2-piece molecular cluster, C4H10Cl2NO2P overall at a distorted geometry from the Open Molecules 2025 dataset. Energies are from the ωB97M-V functional and the def2-TZVPD basis.

```
20
Properties=species:S:1:pos:R:3:forces:R:3
C 1.51927 1.66545 -0.61114 0.010 0.309 -1.831
C 0.61633 0.70376 1.31910 -3.373 -1.064 2.579
C -0.73061 -2.55873 -1.09745 1.871 0.755 -0.297
C -3.01064 1.44199 -0.29451 2.347 -0.791 1.396
N 0.69950 0.58718 -0.06837 0.835 0.258 -1.973
O -0.25574 0.00994 -2.44326 0.136 0.142 -0.870
O -1.04749 -1.36207 -0.36672 0.018 1.475 -0.720
P -0.57762 0.06576 -1.02296 -1.766 -0.341 1.740
Cl -3.67854 1.99880 -1.74321 -0.428 -0.242 -0.060
Cl -2.36970 2.75828 0.75210 -0.499 -0.686 -0.539
H 1.39351 1.69874 -1.70892 0.092 -0.024 0.506
H 1.24669 2.63838 -0.22871 -0.530 0.342 0.297
H 2.59285 1.61528 -0.43181 0.017 -0.786 0.316
H -0.08706 -0.16278 1.71799 1.178 1.957 -0.584